[Request]
Next, restate the calculation results below from the first line to the one with "-0.943" character by character.

[Listing]
'''
{"formula": "C9H9BClF4NO3Pd", "method": "ωB97M-V with the def2-TZVPD basis set", "species": ["Pd", "Cl", "C", "C", "C", "C", "O", "C", "C", "O", "C", "H", "H", "H", "H", "C", "C", "N", "O", "H", "H", "H", "H", "H", "F", "B", "F", "F", "F"], "xyz": [[-0.3497, 0.4220, 0.0075], [-0.5462, 4.2319, 6.1082], [-0.2198, 3.1014, 4.8338], [0.0128, 1.7512, 5.1443], [0.2631, 0.8468, 4.1510], [0.3243, 1.2230, 2.7802], [0.6539, 0.3352, 1.9071], [0.0654, 2.6022, 2.4872], [0.0546, 3.1243, 1.1600], [0.1788, 2.5191, 0.0866], [-0.1985, 3.5119, 3.5342], [-0.0085, 1.4343, 6.1787], [0.4395, -0.1958, 4.3809], [-0.0708, 4.2153, 1.0905], [-0.3876, 4.5511, 3.2930], [3.6431, -1.2373, -0.3471], [2.1492, -1.1332, -0.4586], [1.4534, -2.1946, -0.0273], [1.6169, -0.1206, -0.9415], [3.9914, -2.2327, -0.6167], [3.9128, -1.0359, 0.6914], [4.1135, -0.4913, -0.9799], [1.9076, -2.9695, 0.4198], [0.4452, -2.1919, -0.0606], [-2.4462, 0.1149, 1.0428], [-2.6975, -0.5367, -0.2040], [-3.9225, -1.0838, -0.3003], [-2.3983, 0.4322, -1.2041], [-1.6253, -1.5145, -0.3188]], "lowdin_spin": [1.512, 0.002, 0.005, 0.000, 0.012, 0.010, 0.142, 0.009, 0.014, 0.105, 0.000, 0.000, 0.000, 0.007, 0.000, 0.004, 0.008, 0.004, 0.063, 0.000, 0.001, 0.000, 0.000, 0.000, 0.040, -0.001, 0.001, 0.023, 0.038], "total_charge": 0, "lumo_ha": [-0.018, -0.064], "largest_force_ev_per_a": 1.355, "spin_multiplicity": 3}

=====

{"formula": "C9H9ClLiN2O5S2", "method": "ωB97M-V with the def2-TZVPD basis set", "species": ["Li", "S", "C", "C", "C", "C", "C", "C", "S", "H", "H", "H", "H", "C", "C", "C", "N", "H", "H", "H", "H", "H", "O", "N", "O", "Cl", "O", "O", "O"], "xyz": [[2.4837, 0.4874, -1.3547], [-1.0557, -1.5207, -2.1211], [-2.5960, -0.8251, -1.6850], [-3.6655, -1.5157, -1.1285], [-4.8643, -0.8605, -0.8729], [-4.9897, 0.4957, -1.1424], [-3.9155, 1.2031, -1.6689], [-2.7246, 0.5497, -1.9585], [-1.3171, 1.2866, -2.6831], [-3.5583, -2.5690, -0.8993], [-5.6952, -1.4088, -0.4456], [-5.9182, 1.0097, -0.9263], [-4.0007, 2.2661, -1.8595], [2.1633, -1.2991, 3.7331], [1.6336, 0.0483, 3.2397], [1.7062, 0.1616, 1.7808], [1.7603, 0.2366, 0.6400], [2.1149, -1.3420, 4.8208], [3.1978, -1.4411, 3.4241], [1.5718, -2.1176, 3.3256], [2.2077, 0.8714, 3.6665], [0.5939, 0.1908, 3.5363], [1.0070, 0.1259, -2.3307], [-0.1701, 0.1218, -1.7677], [3.6605, 2.0244, -0.8225], [4.8358, 1.1793, -1.0601], [5.7529, 1.2662, 0.0388], [5.4688, 1.5636, -2.2906], [4.3126, -0.1886, -1.1882]], "lowdin_charge": [0.594, 0.841, -0.611, -0.123, -0.121, -0.120, -0.121, -0.604, 0.857, 0.095, 0.089, 0.090, 0.096, -0.100, -0.218, -0.169, 0.173, 0.069, 0.080, 0.079, 0.115, 0.114, -0.503, -0.722, -0.426, 0.650, -0.338, -0.335, -0.430], "total_charge": -1, "lumo_ha": 0.096, "largest_force_ev_per_a": 0.599, "e_above_lowest_ev": 0.5842}

=====

The following is a quantum chemistry calculation of C31H32O12PRb as an isolated structure in a non-equilibrium geometry, from the Open Molecules 2025 dataset.

Last column: Löwdin charge in e.
Cartesian coordinates (Å):
Rb: -0.082 -1.417 -0.145  1.023
O: -1.773 -2.393 4.176  0.095
C: -1.932 -2.812 2.946  -0.515
O: -1.538 -2.218 1.978  -0.001
C: -2.638 -4.163 2.897  -0.124
O: -2.985 -4.629 1.626  -0.107
C: -1.884 -4.899 0.765  -0.117
C: -1.823 -4.019 -0.500  -0.693
O: -2.917 -3.568 -0.943  -0.031
O: -0.697 -3.895 -1.004  -0.123
H: -1.399 -1.417 4.146  0.117
H: -3.563 -4.070 3.466  0.133
H: -1.986 -4.878 3.423  0.133
H: -1.986 -5.934 0.415  0.124
H: -0.932 -4.804 1.292  0.113
O: -3.832 -1.410 -0.024  0.106
C: -3.054 -0.408 -0.327  -0.554
O: -2.227 -0.400 -1.224  -0.110
C: -3.293 0.808 0.583  -0.106
O: -2.866 0.575 1.914  -0.111
C: -1.778 1.367 2.372  -0.122
C: -0.993 0.580 3.443  -0.684
O: -1.653 0.279 4.491  -0.070
O: 0.185 0.309 3.188  -0.016
H: -3.490 -2.295 -0.450  0.071
H: -4.370 1.003 0.616  0.127
H: -2.772 1.656 0.133  0.117
H: -2.155 2.299 2.818  0.123
H: -1.100 1.605 1.553  0.097
O: 2.523 -1.150 -1.049  -0.115
C: 2.243 -0.533 -2.050  -0.298
C: 2.511 0.506 -2.892  -0.264
C: 3.475 0.346 -3.968  -0.085
'''

[Reply]
{"formula": "C9H9BClF4NO3Pd", "method": "ωB97M-V with the def2-TZVPD basis set", "species": ["Pd", "Cl", "C", "C", "C", "C", "O", "C", "C", "O", "C", "H", "H", "H", "H", "C", "C", "N", "O", "H", "H", "H", "H", "H", "F", "B", "F", "F", "F"], "xyz": [[-0.3497, 0.4220, 0.0075], [-0.5462, 4.2319, 6.1082], [-0.2198, 3.1014, 4.8338], [0.0128, 1.7512, 5.1443], [0.2631, 0.8468, 4.1510], [0.3243, 1.2230, 2.7802], [0.6539, 0.3352, 1.9071], [0.0654, 2.6022, 2.4872], [0.0546, 3.1243, 1.1600], [0.1788, 2.5191, 0.0866], [-0.1985, 3.5119, 3.5342], [-0.0085, 1.4343, 6.1787], [0.4395, -0.1958, 4.3809], [-0.0708, 4.2153, 1.0905], [-0.3876, 4.5511, 3.2930], [3.6431, -1.2373, -0.3471], [2.1492, -1.1332, -0.4586], [1.4534, -2.1946, -0.0273], [1.6169, -0.1206, -0.9415], [3.9914, -2.2327, -0.6167], [3.9128, -1.0359, 0.6914], [4.1135, -0.4913, -0.9799], [1.9076, -2.9695, 0.4198], [0.4452, -2.1919, -0.0606], [-2.4462, 0.1149, 1.0428], [-2.6975, -0.5367, -0.2040], [-3.9225, -1.0838, -0.3003], [-2.3983, 0.4322, -1.2041], [-1.6253, -1.5145, -0.3188]], "lowdin_spin": [1.512, 0.002, 0.005, 0.000, 0.012, 0.010, 0.142, 0.009, 0.014, 0.105, 0.000, 0.000, 0.000, 0.007, 0.000, 0.004, 0.008, 0.004, 0.063, 0.000, 0.001, 0.000, 0.000, 0.000, 0.040, -0.001, 0.001, 0.023, 0.038], "total_charge": 0, "lumo_ha": [-0.018, -0.064], "largest_force_ev_per_a": 1.355, "spin_multiplicity": 3}

=====

{"formula": "C9H9ClLiN2O5S2", "method": "ωB97M-V with the def2-TZVPD basis set", "species": ["Li", "S", "C", "C", "C", "C", "C", "C", "S", "H", "H", "H", "H", "C", "C", "C", "N", "H", "H", "H", "H", "H", "O", "N", "O", "Cl", "O", "O", "O"], "xyz": [[2.4837, 0.4874, -1.3547], [-1.0557, -1.5207, -2.1211], [-2.5960, -0.8251, -1.6850], [-3.6655, -1.5157, -1.1285], [-4.8643, -0.8605, -0.8729], [-4.9897, 0.4957, -1.1424], [-3.9155, 1.2031, -1.6689], [-2.7246, 0.5497, -1.9585], [-1.3171, 1.2866, -2.6831], [-3.5583, -2.5690, -0.8993], [-5.6952, -1.4088, -0.4456], [-5.9182, 1.0097, -0.9263], [-4.0007, 2.2661, -1.8595], [2.1633, -1.2991, 3.7331], [1.6336, 0.0483, 3.2397], [1.7062, 0.1616, 1.7808], [1.7603, 0.2366, 0.6400], [2.1149, -1.3420, 4.8208], [3.1978, -1.4411, 3.4241], [1.5718, -2.1176, 3.3256], [2.2077, 0.8714, 3.6665], [0.5939, 0.1908, 3.5363], [1.0070, 0.1259, -2.3307], [-0.1701, 0.1218, -1.7677], [3.6605, 2.0244, -0.8225], [4.8358, 1.1793, -1.0601], [5.7529, 1.2662, 0.0388], [5.4688, 1.5636, -2.2906], [4.3126, -0.1886, -1.1882]], "lowdin_charge": [0.594, 0.841, -0.611, -0.123, -0.121, -0.120, -0.121, -0.604, 0.857, 0.095, 0.089, 0.090, 0.096, -0.100, -0.218, -0.169, 0.173, 0.069, 0.080, 0.079, 0.115, 0.114, -0.503, -0.722, -0.426, 0.650, -0.338, -0.335, -0.430], "total_charge": -1, "lumo_ha": 0.096, "largest_force_ev_per_a": 0.599, "e_above_lowest_ev": 0.5842}

=====

The following is a quantum chemistry calculation of C31H32O12PRb as an isolated structure in a non-equilibrium geometry, from the Open Molecules 2025 dataset.

Last column: Löwdin charge in e.
Cartesian coordinates (Å):
Rb: -0.082 -1.417 -0.145  1.023
O: -1.773 -2.393 4.176  0.095
C: -1.932 -2.812 2.946  -0.515
O: -1.538 -2.218 1.978  -0.001
C: -2.638 -4.163 2.897  -0.124
O: -2.985 -4.629 1.626  -0.107
C: -1.884 -4.899 0.765  -0.117
C: -1.823 -4.019 -0.500  -0.693
O: -2.917 -3.568 -0.943  -0.031